Friday 29 April 2011

Danny Kaye and Cosmo Kramer

At a glance: first, the way they both look.

Second, if we look at the wikibio of Kaye, we notice he:

-ran away to Florida as a young boy (Kramer allegedly ran away from home at age 17 and stowed away aboard a steamer bound for Sweden)

-had a strong interest in cooking, installing contraptions in his kitchen and making his own sausages

-was passionate about medicine (could have tried to be a doctor if his parents afforded it) and used to watch surgery on several occasions

-loved baseball(not much of a connection, as a lot of people love it)

-had a character he interpreted only at home, Kaplan, the owner of a rubber company (like the rich Van Nostrand and other Kramer alter egos)

-"Superman creators, Jerry Siegel and Joe Shuster, also fashioned a short lived superhero title, Funnyman, taking inspiration from Kaye's public persona" - this would point to Jerry's obsession with Superman and various similarities with that

- their overall body language, excluding the effeminate gestures of DK

Thursday 14 April 2011

Joi nici macar nu e vineri

Vineri e o zi de zi pentru ca incepe weekendul. Joi nici macar asta nu e. Atunci de ce imi vine sa injur si sa sparg ceva joi?

Misplaced records of molecules:
[1]
The following is a quantum chemistry calculation of a cluster of 3 separate species, C22H45BrNO6P2 in total in a non-equilibrium geometry, from the Open Molecules 2025 dataset.

Each line ends with the Löwdin charge.
Atoms and positions in Å:
O  2.39  -3.30  0.83  0.06
C  2.16  -2.20  0.37  -0.47
C  1.22  -1.99  -0.79  -0.18
C  -0.07  -2.79  -0.73  -0.38
P  -1.28  -2.13  0.58  0.29
Br  -0.90  -4.09  2.00  0.09
C  -1.61  -0.59  -0.54  -0.34
O  -2.79  0.14  -0.18  -0.25
O  -2.48  1.54  -0.08  -0.06
P  -2.71  -1.21  2.18  0.42
O  -4.16  -1.28  1.93  -0.33
O  -2.46  -1.88  3.65  -0.25
O  -2.15  0.33  2.46  -0.22
N  2.89  -1.09  0.87  0.11
C  2.68  0.22  0.34  -0.28
C  3.57  0.76  -0.59  -0.03
C  3.32  2.03  -1.10  -0.09
C  2.20  2.74  -0.70  -0.10
C  1.33  2.20  0.23  -0.07
C  1.57  0.93  0.75  -0.04
H  0.99  -0.94  -0.94  0.08
H  1.80  -2.30  -1.67  0.13
H  -0.56  -2.66  -1.69  0.06
H  0.13  -3.85  -0.58  0.04
H  -0.21  -1.43  1.26  -0.02
H  -2.40  -2.83  0.02  -0.01
H  -0.77  0.09  -0.51  0.06
H  -1.73  -0.91  -1.58  0.08
H  -2.20  1.57  0.85  0.05
H  -1.61  -1.64  4.03  0.04
H  -1.71  0.40  3.31  0.06
H  3.87  -1.34  0.89  0.13
H  4.42  0.18  -0.92  0.10
H  3.97  2.44  -1.86  0.09
H  2.00  3.72  -1.11  0.10
H  0.45  2.75  0.53  0.10
H  0.89  0.48  1.46  0.10
C  5.09  0.63  -4.36  -0.11
C  5.95  -0.47  -4.97  -0.27
C  6.51  -1.44  -3.94  -0.23
C  7.44  -0.81  -2.89  -0.23
C  8.65  -0.08  -3.47  -0.27
C  9.59  -0.99  -4.26  -0.11
H  5.66  1.26  -3.67  0.06
H  4.68  1.29  -5.13  0.07
H  4.25  0.21  -3.81  0.07
H  6.77  -0.02  -5.55  0.10
H  5.35  -1.03  -5.69  0.10
H  7.04  -2.25  -4.45  0.10
H  5.68  -1.92  -3.41  0.11
H  7.78  -1.59  -2.21  0.11
H  6.87  -0.11  -2.27  0.09
H  9.21  0.37  -2.64  0.10
H  8.33  0.75  -4.10  0.10
H  9.95  -1.81  -3.63  0.07
H  10.45  -0.44  -4.62  0.07
H  9.09  -1.43  -5.12  0.06
C  -5.76  1.63  1.93  -0.10
C  -6.46  0.60  2.80  -0.27
C  -7.98  0.55  2.58  -0.23
C  -8.73  1.84  2.92  -0.24
C  -8.54  2.33  4.36  -0.28
C  -9.05  1.34  5.40  -0.12
H  -6.10  2.65  2.15  0.06
H  -4.68  1.60  2.10  0.05
H  -5.93  1.43  0.87  0.08
H  -6.24  0.79  3.85  0.10
H  -6.04  -0.38  2.57  0.07
H  -8.39  -0.28  3.16  0.10
H  -8.17  0.31  1.53  0.11
H  -9.80  1.69  2.74  0.10
H  -8.42  2.63  2.24  0.10
H  -9.07  3.28  4.48  0.10
H  -7.49  2.54  4.54  0.10
H  -10.11  1.13  5.26  0.07
H  -8.92  1.74  6.41  0.06
H  -8.51  0.39  5.35  0.07

Results
total charge	-1
HOMO level	-4.97	eV
lowest unoccupied orbital energy	2.26	eV
molecular weight	561.5	u



[2]
The following is a quantum chemistry calculation of a structure of composition C22H45ErN2OP3 in a non-equilibrium geometry, from the Open Molecules 2025 dataset.

Each line ends with the Löwdin spin population.
Atoms and positions in Å:
Er  0.58  -1.84  0.06  3.02
P  2.18  -0.02  -1.81  0.00
P  0.17  1.21  0.89  0.00
P  -2.00  -0.01  -1.56  0.00
H  -0.53  -5.91  1.75  0.00
C  -0.64  -5.92  0.64  0.00
C  0.27  -5.46  -0.25  0.00
H  1.22  -4.90  -0.05  0.00
C  4.01  -0.30  -1.72  0.00

Tocmai joi sa ma lase asa deodata tot cheful. Incep sa ma gandesc, ca acusi vine Pastele, daca macar pentru o saptamana, putem matura asa frumos, toate chestiile gen planuri, dorinte si preferinte si pune la cos...apoi, trosc, capacul.Post la figurat. Dao - sa nu iti doresti nimic. Ehe, de cand am incercat eu sa aplic asta, dar mereu ma trezeam ca pandesc cu coada ochiului "Are efect? Acu primesc bonusul- sa se intample ceva fain?"

Blocaj, sau plictiseala de a mai fi om mare. Si nu, daca fac curat nu vreau sa aglomerez locul gol cu sfaturi si minciunelele altora, care nu au facut curat in viata lor. Ba mai zic ca o duc si bine, cu toate tinichelele stralucitoare ca decor...Serenity now. Daca nu ma bucur repede de ceva, dau in rautate...malitiozitate.

Joi, desigur, ca vineri pe la pranz e posibil sa iasa soarele. Si cat de greu e sa stai atunci bosumflat pe viata? Plus Fringe. Intotdeauna imi schimba starea.

Am uitat de postare, vreo jumatate de ora m-am uitat pe net. Efectele netului...mai mult te uiti la ce scriu altii decat sa scrii tu. Ca sa nu mai zic de facut ceva.Hmm.

Ok, e joi, e frig si ploaie. Numai bun ori sa razi ca hiena si sa vezi "Bored to death" etc, ori sa te lamentezi. Ca e plictiseala, ca ploua. Ca e joi, nici macar vineri.


Tuesday 12 April 2011

MLM and Internet

Remember those so-much-hated encounters with MLM?

And, yea, I started with a rhetorical question, a method used at their meetings. If your ears weren't already on shutdown after the first pompous obnoxious (and so on) phrase they declaimed, you could hear their basic principle: friends are an asset, and the better you "milk" them of money and/or of other contacts in order to sell the products and make yourself a fortune, the best.

Now, mind that, either you were told or you noticed by yourself (as a MLM shit-head, in an absurd hypothesis) that not all friends were valuable, only those with popularity or money, or just contacts that could be dragged into the meetings.

Now, much hated ideas somehow work their way into popular mentality in an insidious way, and I think MLM friend-usage is to be found on the net in those situations were people know each other.

Anonymity brings a lot of swearing, but also sincerity. No use to "earn points" by liking an unlikable item, if you are anonymous.
But if we know each other, what better way to have an unspoken you say well of mine-I say well of yours bargain than liking and praising here and there?

And now even more and more sites make registering necessary just in order to comment, so bye-bye relative anonymity. Plus it takes longer to write down a reaction that just sprung to mind, so bye-bye spontaneity. I used to like the nonsense of anonymous comments, even the injurious ones. If I didn't want to read them, I would skip them, but it gave a freedom feeling to see them all there. Now, it's a "register and login " world...bleah.

Of course, next on the list are the socialization sites, a mix-up of face to face social conventions and Internet, with a strong MLM feeling...I'll just leave it at that.

The blogs are so and so, as long as the comments have in theory the nickname signature. But usually people use clues to let the blogger know who said what, they want the credit for their comments as they are rarely derogative.
Blogs are like small clubs, if you are a complete stranger, what are the chances to just end up in one? Usually you use directions to find them, so the posters-readers are a small group who can of course bring other contacts, but who know each other...relatively.

Some of the comments (especially when we are talking pictures) are even mimicking the street random meetings with true or not-so-true friends, in which there was a lot of kissing in the air, lots of interjections, of false/not false admiration, and plenty of never realized plans and invitations: "Oh, you look beautiful! Really amazing! What a nice dress/ring/costume..We must see each other again! Come by my house sometimes!...Honey, sooo glad seeing you! O-ha-ha-ha"

So on, so forth. I got bored and my being pissed off (of course something triggered this) is wearing off.

So, I might self-comment in a derogatory manner...

Sunday 10 April 2011

Working the land

This activity is private, yet a day ago I've been so suddenly and heavily working that it has earned a right to be talked about.

A field of boulders was waiting for us Saturday, completely insensitive to our Utopian plans of planting some seeds quick and effortless. We grabbed by chance a owner of some agricultural device who, making our wallet a bit less heavier, broke the boulders into smaller pieces. A few minutes of happy unrealistic plans again! Underneath these smaller earth blocks, the land was still hard and uninviting for any seed, I dare say even for alien plants, if there were any ready to attack.
Different opinions about what to do clashed a bit, and one participant disappeared into the house, only to appear later, more submissive, and rejoin the work.

So, I gathered my comfy knowledge from a French magazine for kids, in which there were shown a few easy steps for getting yourself "un jardin potager", and we re-grouped.

A few hours later we had ourselves some squares and quadrilaterals, a glorious number of 3, with the same clay soil, a bit fluffier. Not a good soil for vegetable-related activities, but since there is no other... Of course, it would have been way more pleasant to just have ideas, and have them be transformed into reality by other people, while sipping juice from my shoe:)

But having no money to pay for the work of others, we just kept pecking the land, sometimes sighing, sometimes swearing,(in our minds) other times just losing all thoughts in a meditative trance. It felt good overall. And very thirsty. After some time working, a bottle of water seemed the only thing staying between me and fainting. Or screaming in anger. Or whatever.

In the evening, after some food, and some other work around the house, I felt better, bright eyes, red cheeks, having worked a bit. (Looking back, it seemed I could boast a little and say we worked "a bit").

The land, still there, still not very friendly. Even though I do not accept the pre - determination coming from kindred, a relationship with a land that has not been in my family for a while is still unsettling. It is a new land, it talks in strange ways and does not want to submit.

The taming process is unpredictable, and again, private.

Wednesday 6 April 2011

Failing at failing

If someone doesn't even do failing right, is he or she "failing at failing"?

I just googled the term combination and got out a link, but it's about failure in business, so it does not help. I am talking about personal stuff.

I guess artistic failing it's impossible if one realizes what is just going on and somehow freezes the loop of failing by self analysis ...for example.

Just a thought.

Saturday 2 April 2011

Local: telemea uscata... oi Huedin, de la Napolact. Adica un fel de rubrica demodata "un produs pe saptamana". Daca tot mananc constant cate o chestie de ceva vreme, sa ii acord ceva credit, pana nu dispare de pe piata sau isi pierde calitatea, atat cata are.

Am mancat azi ceva telemea sarata(uscata/de iarna), de la un chiosc de lemn (daca am inteles eu bine) din Bucuresti, home made, dar am constatat cu oarece surpriza ca nu imi mai place, m-am obisnuit cu mirosul neutru si gustul bun, fara a fi picant, prea-de-oaie sau cu ceva particular, al Cedrei de oi Huedin. Ma tot holbam nemultumita la bucata, pitoreasca, ce e drept, dar care ma facea sa ma incrunt, din farfurie.

Acu, daca nu ma inseala memoria gustativa, branza asta taraneasca e pe undeva gresita, mancam si mai demult telemea, demult de tot in copilarie, de la unchii indepartati din Sibiu, si nu simteam ca parca mananc si oaia cu tot cu lana, dupa ploaie. Nu era gresita nici asta chiar asa rau sa nu o poti manca (am mirosit si mestecat jumatate de ora si produse intr-atat de rele, cu alte ocazii), dar the aftertaste cel putin ma face sa ma gandesc la oi nu prea spalate si la plovere de lana...

Deci voi reveni modest la telemeaua Huedin-easca, care nu imi pune la incercare mirosul sau rezistenta la sare cu aroma de oaie. O data am nimerit si dinasta foarte sfaramicioasa si slaba, dar am incercat, mai precaut, ce e drept, sa mai cumpar inca o data, si era normala, cu destula grasime. O mananc molcom si fara pretentii pe paine cu unt, langa cartofi prajiti, langa ou ochi sau fiert, pe macaroane, cu rosii si paine, si sper ca nu se va scumpi in mod demoralizant...

Cat despre producatori, am gasit pe net ca au undeva la 386 de angajati, ca is pe la Cluj, au avut ceva acuzatii ca importa lapte mai ieftin si il vand ca lapte clujean, dar le-au dezmintit...Daca mergem pe fir, vedem ca in dezmintire a fost citat Peter Szautner, managerul general al Friesland Campina Romania, deci Napolact asta e doar cu numele ro, e un brand preluat, fuzionat si innebunit ( Nu stiu sa caut mai ordonat, dar se vede pe acolo un amestec de Campina, Parmalat, Danone, Milli...Inteleg ca toate au fost la un moment dat sau inca mai sunt al grupului mamut FC, si nu-mi prea place ce inteleg. De cand cu fuziunile astea turbate toate produsele au gusturi tot mai asemanatoare, intitulate generic "gust care nu e bun".

Sa revenim la branza noastra, care inca are gust ok, si ma face sa o mai mananc si alta data. Probabil ca in lipsa conditiilor favorabile existentei unor centre de productie mici si independente, de pe la noi, fie ele ale lui Ion, Ioji sau Iohann, ne putem gandi si la ceva pozitiv de genul ca au loc de munca cateva sute de oameni din tara, si ca, daca un produs al magaoaiei de firma x produs la noi e mai bun, probabil undeva un sub-sub-sub director sau asa ceva e atent cu igiena sau cu selectarea laptelui, cu alegerea oamenilor etc.

Sa nu mai gasit pe youtube un user care se dedica criticarii aceleiasi firme, adevar sau antireclama? Si eu care credeam ca am ales drept tema o simpla branza de la raft, vad ca ea e un fel de vedeta colaterala in lupta de branduri. Interesant. Mai gasesc si alte chestii, cam skimpy e drept: . Deci candva era un Vlad care exporta "inclusiv in Statele Unite ale Americii"? Deja sunt curioasa cand, cum, in ce fel se organiza un astfel de export. Complicat., slide-ul 16 din 20 e un pic mai detaliat. Aha. Ma prefac ca e de ajuns. Si incep sa ma strepezesc la numele folosite in re-branding: "iaurturile Zdravan si Numa’ Bun, smantana Gospodar si iaurtul Usurel".Iiih. Nu imi plac denumirile astea, bine ca nu au botezat si branza cumva.

Gata, m-am plictisit. O poza, si inchei.